[Assignment]
Could you repeat the contents below with every line break kept?

[Data]
/*
# PBE KBaW3, optimized geometry
# Density of states at the Fermi level (states/eV per atom): 1.42
# ΔH_f (0 K) (eV per atom): 3.602
# ΔE to the lowest computed polymorph (kJ/mol of formula units): 0
# Uncorrected energy (eV/cell): -23.9
# Total moment (μB per formula unit): 0.000
data_KBaW3
_chemical_formula_sum 'K1 Ba1 W3'
_cell_length_a 4.929
_cell_length_b 4.929
_cell_length_c 4.929
_cell_angle_alpha 90.00
_cell_angle_beta 90.00
_cell_angle_gamma 90.00
_space_group_name_H-M_alt 'P m -3 m'
_space_group_IT_number 221
_space_group_name_Hall '-P 4 2 3'
loop_
_atom_site_label
_atom_site_type_symbol
_atom_site_fract_x
_atom_site_fract_y
_atom_site_fract_z
_atom_site_occupancy
K1 K 0.000 0.000 0.000 1
Ba1 Ba 0.500 0.500 0.500 1
W1 W 0.000 0.000 0.500 1

=====

HOs3O | PBE-GGA | optimized geometry

Summary:
SG: Pm-3m, No. 221
E: -7.018 eV per atom
M_tot: 0.0 μB per formula unit

a = 3.867 Å, b = 3.867 Å, c = 3.867 Å
α = 90.00°, β = 90.00°, γ = 90.00°
Positions (direct):
Os  0.000  0.000  0.500
Os  0.500  0.000  0.000
Os  0.000  0.500  0.000
H  0.000  0.000  0.000
O  0.500  0.500  0.500

=====

LaFe4As after structural relaxation, computed with PBE.

Results
The value obtained for the formation energy is 107.5 meV per atom. The spin magnetization is 10.12 μB/cell.

Unit cell a=5.141 b=5.141 c=5.141 alpha=60.00 beta=60.00 gamma=60.00
Element x y z (fractional)
La 0.000 0.000 0.000
Fe 0.122 0.626 0.626
Fe 0.626 0.122 0.626
Fe 0.626 0.626 0.122
Fe 0.626 0.626 0.626
As 0.250 0.250 0.250

---

LaFe4As12 after structural relaxation, computed with PBE.

Results
The value obtained for the formation energy is -408.4 meV per atom. The spin magnetization is 0.98 μB/cell.

Unit cell a=7.242 b=7.242 c=7.242 alpha=109.47 beta=109.47 gamma=109.47
Element x y z (fractional)
La 0.000 0.000 0.000
Fe 0.000 0.000 0.500
Fe 0.000 0.500 0.000
Fe 0.500 0.000 0.000
Fe 0.500 0.500 0.500
As 0.157 0.344 0.500
As 0.157 0.656 0.813
As 0.187 0.843 0.344
As 0.344 0.187 0.843
As 0.344 0.500 0.157
As 0.500 0.157 0.344
As 0.500 0.843 0.656
As 0.656 0.500 0.843
As 0.656 0.813 0.157
As 0.813 0.157 0.656
As 0.843 0.344 0.187
As 0.843 0.656 0.500

---

La2FeAs after structural relaxation, computed with PBE.

Results
The value obtained for the formation energy is -433.5 meV per atom. The spin magnetization is 1.52 μB/cell.

Unit cell a=5.058 b=5.058 c=3.851 alpha=90.00 beta=90.00 gamma=90.00
Element x y z (fractional)
La 0.000 0.500 0.000
La 0.500 0.000 0.000
Fe 0.000 0.000 0.500
As 0.500 0.500 0.500

---

La2FeAs after structural relaxation, computed with PBE.

Results
The value obtained for the formation energy is -370.1 meV per atom. The spin magnetization is 1.37 μB/cell.

Unit cell a=7.792 b=7.792 c=7.792 alpha=31.22 beta=31.22 gamma=31.22
Element x y z (fractional)
La 0.249 0.249 0.249
La 0.751 0.751 0.751
Fe 0.000 0.000 0.000
As 0.500 0.500 0.500

---

La2FeAs2 after structural relaxation, computed with PBE.

Results
The excess energy over the best structure of this formula in the dataset is 233 meV per atom. The value obtained for the formation energy is -510.5 meV per atom. The spin magnetization is 2.37 μB/cell.

Unit cell a=5.988 b=5.988 c=5.988 alpha=119.76 beta=119.76 gamma=90.42
Element x y z (fractional)
La 0.250 0.750 0.500
La 0.750 0.250 0.500
Fe 0.000 0.000 0.000
As 0.278 0.278 0.000
As 0.722 0.722 0.000

---

LaFeAs4 after structural relaxation, computed with PBE.

Results
The value obtained for the formation energy is 76.1 meV per atom. The spin magnetization is 3.05 μB/cell.

Unit cell a=5.638 b=5.638 c=5.638 alpha=60.00 beta=60.00 gamma=60.00
Element x y z (fractional)
La 0.000 0.000 0.000
Fe 0.250 0.250 0.250
As 0.133 0.622 0.622
As 0.622 0.133 0.622
As 0.622 0.622 0.133
As 0.622 0.622 0.622

---

La2FeAs after structural relaxation, computed with PBE.

Results
The value obtained for the formation energy is -220.9 meV per atom. The spin magnetization is 0.00 μB/cell.

Unit cell a=6.326 b=6.326 c=6.326 alpha=104.59 beta=104.59 gamma=119.75
*/

[Reply]
# PBE KBaW3, optimized geometry
# Density of states at the Fermi level (states/eV per atom): 1.42
# ΔH_f (0 K) (eV per atom): 3.602
# ΔE to the lowest computed polymorph (kJ/mol of formula units): 0
# Uncorrected energy (eV/cell): -23.9
# Total moment (μB per formula unit): 0.000
data_KBaW3
_chemical_formula_sum 'K1 Ba1 W3'
_cell_length_a 4.929
_cell_length_b 4.929
_cell_length_c 4.929
_cell_angle_alpha 90.00
_cell_angle_beta 90.00
_cell_angle_gamma 90.00
_space_group_name_H-M_alt 'P m -3 m'
_space_group_IT_number 221
_space_group_name_Hall '-P 4 2 3'
loop_
_atom_site_label
_atom_site_type_symbol
_atom_site_fract_x
_atom_site_fract_y
_atom_site_fract_z
_atom_site_occupancy
K1 K 0.000 0.000 0.000 1
Ba1 Ba 0.500 0.500 0.500 1
W1 W 0.000 0.000 0.500 1

=====

HOs3O | PBE-GGA | optimized geometry

Summary:
SG: Pm-3m, No. 221
E: -7.018 eV per atom
M_tot: 0.0 μB per formula unit

a = 3.867 Å, b = 3.867 Å, c = 3.867 Å
α = 90.00°, β = 90.00°, γ = 90.00°
Positions (direct):
Os  0.000  0.000  0.500
Os  0.500  0.000  0.000
Os  0.000  0.500  0.000
H  0.000  0.000  0.000
O  0.500  0.500  0.500

=====

LaFe4As after structural relaxation, computed with PBE.

Results
The value obtained for the formation energy is 107.5 meV per atom. The spin magnetization is 10.12 μB/cell.

Unit cell a=5.141 b=5.141 c=5.141 alpha=60.00 beta=60.00 gamma=60.00
Element x y z (fractional)
La 0.000 0.000 0.000
Fe 0.122 0.626 0.626
Fe 0.626 0.122 0.626
Fe 0.626 0.626 0.122
Fe 0.626 0.626 0.626
As 0.250 0.250 0.250

---

LaFe4As12 after structural relaxation, computed with PBE.

Results
The value obtained for the formation energy is -408.4 meV per atom. The spin magnetization is 0.98 μB/cell.

Unit cell a=7.242 b=7.242 c=7.242 alpha=109.47 beta=109.47 gamma=109.47
Element x y z (fractional)
La 0.000 0.000 0.000
Fe 0.000 0.000 0.500
Fe 0.000 0.500 0.000
Fe 0.500 0.000 0.000
Fe 0.500 0.500 0.500
As 0.157 0.344 0.500
As 0.157 0.656 0.813
As 0.187 0.843 0.344
As 0.344 0.187 0.843
As 0.344 0.500 0.157
As 0.500 0.157 0.344
As 0.500 0.843 0.656
As 0.656 0.500 0.843
As 0.656 0.813 0.157
As 0.813 0.157 0.656
As 0.843 0.344 0.187
As 0.843 0.656 0.500

---

La2FeAs after structural relaxation, computed with PBE.

Results
The value obtained for the formation energy is -433.5 meV per atom. The spin magnetization is 1.52 μB/cell.

Unit cell a=5.058 b=5.058 c=3.851 alpha=90.00 beta=90.00 gamma=90.00
Element x y z (fractional)
La 0.000 0.500 0.000
La 0.500 0.000 0.000
Fe 0.000 0.000 0.500
As 0.500 0.500 0.500

---

La2FeAs after structural relaxation, computed with PBE.

Results
The value obtained for the formation energy is -370.1 meV per atom. The spin magnetization is 1.37 μB/cell.

Unit cell a=7.792 b=7.792 c=7.792 alpha=31.22 beta=31.22 gamma=31.22
Element x y z (fractional)
La 0.249 0.249 0.249
La 0.751 0.751 0.751
Fe 0.000 0.000 0.000
As 0.500 0.500 0.500

---

La2FeAs2 after structural relaxation, computed with PBE.

Results
The excess energy over the best structure of this formula in the dataset is 233 meV per atom. The value obtained for the formation energy is -510.5 meV per atom. The spin magnetization is 2.37 μB/cell.

Unit cell a=5.988 b=5.988 c=5.988 alpha=119.76 beta=119.76 gamma=90.42
Element x y z (fractional)
La 0.250 0.750 0.500
La 0.750 0.250 0.500
Fe 0.000 0.000 0.000
As 0.278 0.278 0.000
As 0.722 0.722 0.000

---

LaFeAs4 after structural relaxation, computed with PBE.

Results
The value obtained for the formation energy is 76.1 meV per atom. The spin magnetization is 3.05 μB/cell.

Unit cell a=5.638 b=5.638 c=5.638 alpha=60.00 beta=60.00 gamma=60.00
Element x y z (fractional)
La 0.000 0.000 0.000
Fe 0.250 0.250 0.250
As 0.133 0.622 0.622
As 0.622 0.133 0.622
As 0.622 0.622 0.133
As 0.622 0.622 0.622

---

La2FeAs after structural relaxation, computed with PBE.

Results
The value obtained for the formation energy is -220.9 meV per atom. The spin magnetization is 0.00 μB/cell.

Unit cell a=6.326 b=6.326 c=6.326 alpha=104.59 beta=104.59 gamma=119.75